********
The following is a PBE calculation of an optimized crystal structure of NaCd4As3, from Alexandria via LeMat-Bulk.

Calculated values
crystal system	tetragonal
ΔH_f (0 K)	-0.1430	eV per atom

The structure in CIF format:
```
data_NaCd4As3
_chemical_formula_sum 'Na1 Cd4 As3'
_cell_length_a 4.4987
_cell_length_b 4.4987
_cell_length_c 10.2184
_cell_angle_alpha 90.00
_cell_angle_beta 90.00
_cell_angle_gamma 90.00
_symmetry_space_group_name_H-M 'P 1'
_symmetry_Int_Tables_number 1
_symmetry_space_group_name_Hall 'P 1'
loop_
_atom_site_label
_atom_site_type_symbol
_atom_site_fract_x
_atom_site_fract_y
_atom_site_fract_z
Na1 Na 0.0000 0.0000 0.0000
Cd1 Cd 0.0000 0.5000 0.3229
Cd2 Cd 0.0000 0.5000 0.6771
Cd3 Cd 0.5000 0.0000 0.3229
Cd4 Cd 0.5000 0.0000 0.6771
As1 As 0.0000 0.0000 0.5000
As2 As 0.5000 0.5000 0.1674
As3 As 0.5000 0.5000 0.8326
```



The following is a PBE calculation of an optimized crystal structure of KScPb2, from Alexandria via LeMat-Bulk.

Calculated values
crystal system	tetragonal
ΔH_f (0 K)	-0.0503	eV per atom

The structure in CIF format:
```
data_KScPb2
_chemical_formula_sum 'K1 Sc1 Pb2'
_cell_length_a 5.7928
_cell_length_b 5.7928
_cell_length_c 5.7928
_cell_angle_alpha 128.68
_cell_angle_beta 128.68
_cell_angle_gamma 75.53
_symmetry_space_group_name_H-M 'P 1'
_symmetry_Int_Tables_number 1
_symmetry_space_group_name_Hall 'P 1'
loop_
_atom_site_label
_atom_site_type_symbol
_atom_site_fract_x
_atom_site_fract_y
_atom_site_fract_z
K1 K 0.0000 0.0000 0.0000
Sc1 Sc 0.5000 0.5000 0.0000
Pb1 Pb 0.2500 0.7500 0.5000
Pb2 Pb 0.7500 0.2500 0.5000
```



The following is a PBE calculation of an optimized crystal structure of CaMoSN2, from Alexandria via LeMat-Bulk.

Calculated values
crystal system	tetragonal
raw formation energy	-0.534	eV per atom

The structure in CIF format:
```
data_CaMoSN2
_chemical_formula_sum 'Ca1 Mo1 S1 N2'
_cell_length_a 3.9563
_cell_length_b 3.9563
_cell_length_c 4.9814
_cell_angle_alpha 90.00
_cell_angle_beta 90.00
_cell_angle_gamma 90.00
_symmetry_space_group_name_H-M 'P 1'
_symmetry_Int_Tables_number 1
_symmetry_space_group_name_Hall 'P 1'
loop_
_atom_site_label
_atom_site_type_symbol
_atom_site_fract_x
_atom_site_fract_y
_atom_site_fract_z
Ca1 Ca 0.0000 0.0000 0.0000
Mo1 Mo 0.5000 0.5000 0.5000
S1 S 0.5000 0.5000 0.0000
N1 N 0.0000 0.5000 0.5000
N2 N 0.5000 0.0000 0.5000
```



The following is a PBE calculation of an optimized crystal structure of ZrIn2Tc, from Alexandria via LeMat-Bulk.

Calculated values
crystal system	cubic
ΔH_f (0 K)	0.0582	eV per atom

The structure in CIF format:
```
data_ZrIn2Tc
_chemical_formula_sum 'Zr1 In2 Tc1'
_cell_length_a 4.7858
_cell_length_b 4.7858
_cell_length_c 4.7858
_cell_angle_alpha 60.00
_cell_angle_beta 60.00
_cell_angle_gamma 60.00
_symmetry_space_group_name_H-M 'P 1'
_symmetry_Int_Tables_number 1
_symmetry_space_group_name_Hall 'P 1'
loop_
_atom_site_label
_atom_site_type_symbol
_atom_site_fract_x
_atom_site_fract_y
_atom_site_fract_z
Zr1 Zr 0.0000 0.0000 0.0000
In1 In 0.2500 0.2500 0.2500
In2 In 0.7500 0.7500 0.7500
Tc1 Tc 0.5000 0.5000 0.5000
```



The following is a PBE calculation of an optimized crystal structure of SrIn3Au, from Alexandria via LeMat-Bulk.

Calculated values
crystal system	cubic
ΔH_f (0 K)	-0.1092	eV per atom

The structure in CIF format:
```
data_SrIn3Au
_chemical_formula_sum 'Sr1 In3 Au1'
_cell_length_a 5.4222
_cell_length_b 5.4222
_cell_length_c 5.4222
_cell_angle_alpha 90.00
_cell_angle_beta 90.00
_cell_angle_gamma 90.00
_symmetry_space_group_name_H-M 'P 1'
_symmetry_Int_Tables_number 1
_symmetry_space_group_name_Hall 'P 1'
loop_
_atom_site_label
_atom_site_type_symbol
_atom_site_fract_x
_atom_site_fract_y
_atom_site_fract_z
Sr1 Sr 0.0000 0.0000 0.0000
In1 In 0.0000 0.5000 0.5000
In2 In 0.5000 0.0000 0.5000
In3 In 0.5000 0.5000 0.0000
Au1 Au 0.5000 0.5000 0.5000
```



The following is a PBE calculation of an optimized crystal structure of Sr2MnSb3Pt4, from Alexandria via LeMat-Bulk.

Calculated values
********
Could you give back only the lines further above with the word "Pb2" in them?
_chemical_formula_sum 'K1 Sc1 Pb2'
Pb2 Pb 0.7500 0.2500 0.5000